
GitHub Sync

Storing tokens on GitHub makes a lot of sense. It's version controlled, allows you to work in different branches (think of a brand refresh that lives on a different branch than the current live version) and gives you varying access levels such as Read or Write access. Also you can integrate GitHub Actions which will allow you to create a token pipeline with Style Dictionary or other tools.


Already have a GitHub account with a repository? Great, skip to step 3

1. Create a GitHub account

Go to and create an account.

2. Create a new repository

Go to and create a new repository. Give it any name you like, make it public or private and initialize it with a README.

3. Generate your Personal Access Token

Go to the Personal Access Tokens section by clicking here, or click on your Avatar in the top right, go to Settings > scroll down to Developer Settings > Personal Access Tokens.

You can either create a personal access token with the older 'Classic' scopes, or with 'Fine-grained tokens' scope:

  • Classic: Generate a new token and select scope repo, decide for yourself when that token should expire. Scroll down and click Generate token.

  • Fine-grained tokens: Generate a new token, decide for yourself when that token should expire. Select the repos you want to allow access for, and under 'Repository permissions' make sure the option Contents has Read and write selected. Scroll down and click Generate token.

Once you've created your token, copy the token, you'll need it in a second and won't see it again if you close the page.

Also, never share this token with anyone who shouldn't have access to your repository. The token I shared in the video above was deleted already, treat it like your personal password.

4. Add a new GitHub sync to your Tokens file.

Go to the Sync tab and select GitHub. Add a new item

  • Add any name (this is only used for the plugin UI)
  • Add your Personal Access Token which we just copied.
  • Add your GitHub repository (e.g. tokens-studio/figma-plugin)
  • Add your default branch (probably main)
  • Specify a file path where your tokens should be stored, e.g. data/tokens.json or just tokens.json

5. Push your initial set of tokens

The plugin will now ask you to push your currently stored tokens to the repository.

Add a commit message, e.g. "Initial commit"

If you're adding a repository that already contains tokens, the plugin will ask you if you want to pull the latest tokens. This will overwrite your locally stored tokens, so make sure to back these up if you don't want them to get removed.

[Between two parts of the piece: crystal structures]
A:
# NaSnP3

A relaxed structure of NaSnP3 (PBE, the Alexandria database).

a b c (Å): 5.1354 5.1354 5.1354
angles (deg): 90.00 90.00 90.00
With the nearest neighbours (Å) after each atom.
Fractional positions:
Sn 0.0000 0.0000 0.0000  6 P 2.57
Na 0.5000 0.5000 0.5000  12 P 3.63
P 0.5000 0.0000 0.0000  2 Sn 2.57
P 0.0000 0.5000 0.0000  2 Sn 2.57
P 0.0000 0.0000 0.5000  2 Sn 2.57

Output
Volume   27.09 Å³ per atom
Symmetry   Pm-3m, No. 221

***

B:
# NaSnP3

A relaxed structure of NaSnP3 (PBE, the Alexandria database).

a b c (Å): 4.8888 4.8888 4.8888
angles (deg): 90.00 90.00 90.00
With the nearest neighbours (Å) after each atom.
Fractional positions:
Sn 0.5000 0.5000 0.5000  12 P 3.46
P 0.5000 0.0000 0.0000  2 Na 2.44
P 0.0000 0.0000 0.5000  2 Na 2.44
P 0.0000 0.5000 0.0000  2 Na 2.44
Na 0.0000 0.0000 0.0000  6 P 2.44

Output
Volume   23.37 Å³ per atom
Symmetry   Pm-3m, No. 221

***

The energetic minimum among the shown structures is A; the next structure lies 0.437 eV/atom above.

~~~~~

Here is a geometry-optimized TiFeCO2 structure from Alexandria via LeMat-Bulk. Energies are from PBE+U.

Cell and atoms, written as POSCAR:
```
TiFeCO2
1.0
3.3246 0.0000 0.0000
0.0000 3.3246 0.0000
0.0000 0.0000 5.7148
Ti Fe C O
1 1 1 2
Direct
0.0000 0.0000 0.0000
0.0000 0.0000 0.5000
0.5000 0.5000 0.0000
0.0000 0.5000 0.5000
0.5000 0.0000 0.5000
```

* energy: -5.91 eV/atom

---

Here is a geometry-optimized Tl2FeCO structure from Alexandria via LeMat-Bulk. Energies are from PBE+U.

Cell and atoms, written as POSCAR:
```
Tl2FeCO
1.0
5.2823 0.0000 0.0000
0.0000 5.2823 0.0000
0.0000 0.0000 3.6591
Tl Fe C O
2 1 1 1
Direct
0.0000 0.5000 0.0000
0.5000 0.0000 0.0000
0.0000 0.0000 0.0000
0.0000 0.0000 0.5000
0.5000 0.5000 0.5000
```

* energy: -3.86 eV/atom

6. Push or pull changes

Whenever you make a change in Tokens Studio for Figma, you have to manually hit Push to GitHub to push your local changes to the remote. Anytime you do that you have to supply a commit message. You can choose the branch you want to push your changes to, so you could just try new tokens out without overwriting the currently live ones.

If you only want to pull the latest changes, hit Pull from GitHub. The plugin will let you know when your local changes differ from the ones stored on the remote by showing a blue dot.

7. How to use tokens stored in GitHub in development?

If you now want to use your tokens also in development there's a few steps you need to follow.

The tokens we store on GitHub is the raw source of truth for the plugin. Meaning, it still contains aliases and any math you might have used. Tools such as Style Dictionary can't work with math, though.

So we need a way to transform our tokens to something Style Dictionary can read.

I wrote a package that does just that: Token Transformer. You or your dev can install that by running npm install token-transformer.

You can then use it to generate tokens to a JSON that is readable by Style Dictionary, without any aliases, without any math.

Run node token-transformer tokens.json output.json where tokens.json is the file you stored your tokens in. This will take your input JSON file (which is the file we generate from Tokens Studio for Figma, this should match what you entered in the Sync details) and output the transformed tokens to an output.json

If you use multiple token sets you might also want to create different token files per theme combination. You can do that by giving token-transformer additional parameters: node token-transformer data/tokens.json output.json global,dark will use the global and dark token sets to generate combinations.

Don't want to include the global set in the output but use it for resolving aliases? Provide another parameter like this and the transformer will exclude that in the output: node token-transformer tokens.json output.json global,dark global

Using multi-file sync

If you're using the Pro instance of the plugin and wish to transform multiple files in a single folder, instead of specifying a single json as input, you can specify the folder as input.

For example, if the tokens were stored in Tokens Studio for Figma inside a folder path like data/core.json, data/functional.json, data/components.json, and your goal was to generate a set of tokens from some combination of those inputs, pass the folder name as the input to token-transformer and provide additional arguments as specified above, like this: node token-transformer data files,to,include files,to,ignore



A few example repositories that utilise Tokens Studio for Figma, token-transformer, Style Dictionary and GitHub Actions can be found here:

Last updated on February 11, 2023